### Material
........
{
  "formula": "Eu2TlIn",
  "functional": "PBE",
  "state": "relaxed",
  "cell": [[7.767, 0.000, 0.000], [0.000, 7.767, 0.000], [0.000, 0.000, 7.767]],
  "species": ["Eu", "Eu", "Eu", "Eu", "Eu", "Eu", "Eu", "Eu", "Tl", "Tl", "Tl", "Tl", "In", "In", "In", "In"],
  "frac_coords": [[0.250, 0.250, 0.250], [0.250, 0.250, 0.750], [0.250, 0.750, 0.250], [0.250, 0.750, 0.750], [0.750, 0.250, 0.250], [0.750, 0.250, 0.750], [0.750, 0.750, 0.250], [0.750, 0.750, 0.750], [0.000, 0.000, 0.000], [0.000, 0.500, 0.500], [0.500, 0.000, 0.500], [0.500, 0.500, 0.000], [0.000, 0.000, 0.500], [0.000, 0.500, 0.000], [0.500, 0.000, 0.000], [0.500, 0.500, 0.500]],
  "formation_energy_kj_per_mol_atoms": -40.89,
  "mass_density_g_cm3": 8.8
}

=====

Record 1
Density functional theory data (GGA-PBE) for a geometry-optimized Nb2CrRu structure.

Cell and atoms, written as extended XYZ:
```
4
Lattice="0.000 3.146 3.146 3.146 0.000 3.146 3.146 3.146 0.000" Properties=species:S:1:pos:R:3 pbc="T T T"
Nb 1.573 1.573 1.573
Nb 4.720 4.720 4.720
Cr 0.000 0.000 0.000
Ru 3.146 3.146 3.146
```

Properties
calculated volume: 15.58 Å³/atom
energy of formation: -13 kJ per mole of atoms
raw total energy: -0.729 Ry/atom


Record 2
Density functional theory data (GGA-PBE) for a geometry-optimized NbCr3S8 structure.

Cell and atoms, written as extended XYZ:
```
12
Lattice="6.765 0.000 0.000 3.268 5.943 0.000 3.267 1.923 5.638" Properties=species:S:1:pos:R:3 pbc="T T T"
Nb 0.000 0.000 0.000
Cr 1.634 0.962 2.819
Cr 1.634 2.972 0.000
Cr 3.382 0.000 0.000
S 3.253 1.925 1.379
S 6.547 5.862 4.203
S 5.014 2.959 4.241
S 5.015 4.959 1.434
S 8.285 2.908 4.204
S 8.286 4.907 1.397
S 6.753 2.004 1.435
S 10.047 5.942 4.259
```

Properties
calculated volume: 18.89 Å³/atom
energy of formation: -93 kJ per mole of atoms
raw total energy: -0.488 Ry/atom


Record 3
Density functional theory data (GGA-PBE) for a geometry-optimized NbCrS5 structure.

Cell and atoms, written as extended XYZ:
```
14
Lattice="8.897 0.000 0.000 0.000 3.405 0.000 -4.254 0.000 9.021" Properties=species:S:1:pos:R:3 pbc="T T T"
Nb 1.409 0.851 1.243
Nb 3.234 2.554 7.779
Cr -1.067 2.554 3.609
Cr 5.710 0.851 5.413
S -0.459 2.554 1.215
S -1.554 2.554 5.846
S 0.596 0.851 3.698
S 2.960 2.554 0.157
S 3.056 2.554 2.209
S 1.587 0.851 6.813
S 1.683 0.851 8.864
S 4.046 2.554 5.324
S 6.196 0.851 3.175
S 5.102 0.851 7.807
```

Properties
calculated volume: 19.52 Å³/atom
energy of formation: -93 kJ per mole of atoms
raw total energy: -0.469 Ry/atom


Record 4
Density functional theory data (GGA-PBE) for a geometry-optimized Nb3CrSe6 structure.

Cell and atoms, written as extended XYZ:
```
20
Lattice="6.054 0.000 0.000 -3.027 5.243 0.000 0.000 0.000 12.721" Properties=species:S:1:pos:R:3 pbc="T T T"
Nb 0.000 0.000 0.000
Nb 0.000 0.000 6.361
Nb 0.000 3.495 0.008
Nb 0.000 3.495 6.353
Nb 3.027 1.748 6.368
Nb 3.027 1.748 12.713
Cr 0.000 3.495 3.180
Cr 3.027 1.748 9.541
Se -0.975 1.750 11.040
Se -1.999 3.523 8.042
Se 0.975 1.750 8.042
Se -1.024 5.212 11.040
Se 2.003 0.030 1.682
Se 1.028 1.719 4.679
Se 1.999 3.523 11.040
Se 1.024 5.212 8.042
Se 4.051 0.030 4.679
Se 2.052 3.493 1.682
Se 5.026 1.719 1.682
Se 4.002 3.493 4.679
```

Properties
calculated volume: 20.19 Å³/atom
energy of formation: -107 kJ per mole of atoms
raw total energy: -0.509 Ry/atom


Record 5
Density functional theory data (GGA-PBE) for a geometry-optimized Nb4Cr7Si8 structure.

Cell and atoms, written as extended XYZ:
```
76
Lattice="13.231 0.000 0.000 0.000 4.860 0.000 0.000 0.000 15.917" Properties=species:S:1:pos:R:3 pbc="T T T"
Nb 0.554 1.215 1.466
Nb 0.898 3.645 3.158
Nb 1.763 1.215 8.633
Nb 3.299 1.215 15.492
Nb 3.317 3.645 7.533
Nb 4.853 3.645 0.674
Nb 5.717 1.215 11.117
Nb 6.061 3.645 9.424
Nb 7.170 1.215 6.493
Nb 7.514 3.645 4.800
Nb 8.378 1.215 15.243
Nb 9.914 1.215 8.384
Nb 9.933 3.645 0.425
Nb 11.469 3.645 7.284
Nb 12.333 1.215 12.759
Nb 12.677 3.645 14.451
Cr 0.811 2.467 6.029
Cr 0.811 4.822 6.029
Cr 1.676 3.645 15.857
Cr 1.797 3.645 10.432
........
### What to do
Filter the data further up: keep the lines with the word "Record".
### Outcome
Record 1
Record 2
Record 3
Record 4
Record 5